The number of organisations opting to utilise transactional mail, also known as transactional print, is ever-increasing, with the appeal of printed communications as significant as ever. The trust associated with physical mail is especially important where personal communications are concerned, and this blog will look to cover the basics of what transactional mail is, as well as what makes it so effective. Discover why organisations are opting to outsource their transactional mail requirements, with the promise of enhanced security and cost savings.
Transactional mail refers to any interaction or opportunity to engage with different audiences where a transaction is involved. This may be as simple as sending a notification which requires no action or a statement that directs audiences to further information. At scale, it includes the processing and sending of multiple documents to different audiences, often in the thousands, providing an automated, manageable way of sending personalised documents in bulk.
Unlike other mail processes, transactional mail is focused on effectively utilising customer data on a large scale and has an official purpose for its delivery. This transactional process is often outsourced to print and post specialists, who can streamline the production, management and sending of large volumes of documents at any one time.
The process is utilised across both the private and public sectors to send large bulk mailings, that can vary in output including A4 letters and A3 documents. The service is a hassle-free method of sending and managing the print and post of organisational documents through an effective, robust print solution.
There are many different elements to producing and sending transactional mail, with the end goal often to drive engagement or encourage response from the recipient. The process includes identifying an audience, curating the content with personalisation, producing the document, printing, enclosing and sending it with the aim of reaching a required goal.
Whilst the process sounds simple, when there is a large volume requirement, for example a revenues and benefits letter, statement or invoice or financial end of year overview, the challenge of managing transactional mail requirements in house becomes unmanageable.
Many organisations opt to outsource their transactional mail requirements, to a specialist print partner who can provide a tailored process to send their communications. They take the process identified and automate this, providing organisations with a hands-free approach.
When working with a third party, the transactional print process becomes streamlined and more extensive with the ability to include additional inserts, leaflets and bespoke requirements to be utilised with ease.
Organisations who offer the ability to facilitate transactional print requirements, as processers of data, should have the relevant data security accreditations to keep data and output secure.
Print providers should be at a minimum accredited against ISO: 27001 Information Security Management and ISO: 9001 Quality Management, with many providers adhering and complying with other industry standards including Cyber Essentials Plus.
This ensures that when you utilise third parties to manage and send transactional print documents, your data and communications are handled with care and produced within an environment of security and expertise.
There are many organisations who are accredited transactional mail partners, who can support your print and mail requirements.
• The piece is interrupted by materials data:
# 1
{"formula": "Rb2ScSbI6", "functional": "PBE", "state": "optimized geometry", "e_form_raw_ev_per_fu": -9.12, "n_ef_per_ev_fu": 0.78, "lattice": [[8.390, 0.000, 0.000], [0.000, 8.390, 0.000], [4.195, 4.195, 6.877]], "species": ["I", "I", "I", "I", "I", "I", "Sc", "Rb", "Rb", "Sb"], "frac_coords": [[0.711, 0.711, 0.578], [0.745, 0.255, 0.000], [0.745, 0.745, 0.000], [0.255, 0.745, 0.000], [0.289, 0.289, 0.422], [0.255, 0.255, 0.000], [0.500, 0.500, 0.000], [0.750, 0.250, 0.500], [0.250, 0.750, 0.500], [0.000, 0.000, 0.000]]}

***

# 2
{"formula": "RbSb2SeI", "functional": "PBE", "state": "optimized geometry", "e_form_raw_ev_per_fu": -0.19, "polymorph_energy_mev_per_atom": 0, "n_ef_per_ev_fu": 3.74, "lattice": [[5.366, 0.000, 0.000], [0.000, 5.366, 0.000], [0.000, 0.000, 8.850]], "species": ["Sb", "Sb", "I", "Rb", "Se"], "frac_coords": [[0.000, 0.500, 0.000], [0.500, 0.000, 0.000], [0.000, 0.000, 0.500], [0.500, 0.500, 0.500], [0.000, 0.000, 0.000]]}

***

# 3
{"formula": "RbSbSeI2", "functional": "PBE", "state": "optimized geometry", "e_form_raw_ev_per_fu": -1.07, "polymorph_energy_mev_per_atom": 396, "n_ef_per_ev_fu": 2.17, "lattice": [[-5.756, -0.092, -2.292], [2.288, -0.648, -5.722], [-0.139, -5.533, 0.571]], "species": ["I", "I", "Se", "Sb", "Rb"], "frac_coords": [[0.000, 0.500, 0.000], [0.500, 0.000, 0.000], [0.000, 0.000, 0.000], [0.000, 0.000, 0.500], [0.500, 0.500, 0.500]]}

***

# 4
{"formula": "Rb2SbSeI6", "functional": "PBE", "state": "optimized geometry", "e_form_raw_ev_per_fu": -6.35, "n_ef_per_ev_fu": 3.98, "lattice": [[8.606, 0.000, 0.000], [0.000, 8.606, 0.000], [4.303, 4.303, 5.989]], "species": ["I", "I", "I", "I", "I", "I", "Se", "Sb", "Rb", "Rb"], "frac_coords": [[0.252, 0.252, 0.496], [0.748, 0.748, 0.504], [0.247, 0.753, 0.000], [0.753, 0.247, 0.000], [0.247, 0.247, 0.000], [0.753, 0.753, 0.000], [0.500, 0.500, 0.000], [0.000, 0.000, 0.000], [0.750, 0.250, 0.500], [0.250, 0.750, 0.500]]}

***

# 5
{"formula": "RbSbSeI2", "functional": "PBE", "state": "optimized geometry", "e_form_raw_ev_per_fu": 3.86, "polymorph_energy_mev_per_atom": 1383, "n_ef_per_ev_fu": 12.59, "lattice": [[-3.007, 5.888, -0.251], [-1.467, -0.450, 7.045], [5.738, 2.989, 1.386]], "species": ["I", "I", "Sb", "Se", "Rb"], "frac_coords": [[0.000, 0.000, 0.500], [0.500, 0.000, 0.000], [0.000, 0.500, 0.000], [0.500, 0.500, 0.500], [0.000, 0.000, 0.000]]}

***

# 6
{"formula": "RbSbSeI2", "functional": "PBE", "state": "optimized geometry", "e_form_raw_ev_per_fu": 0.33, "polymorph_energy_mev_per_atom": 678, "n_ef_per_ev_fu": 2.66, "lattice": [[-1.569, 3.365, -4.571], [1.060, -5.038, -4.073], [-5.595, -1.712, 0.661]], "species": ["Se", "I", "I", "Rb", "Sb"], "frac_coords": [[0.000, 0.000, 0.000], [0.000, 0.000, 0.500], [0.500, 0.000, 0.000], [0.000, 0.500, 0.000], [0.500, 0.500, 0.500]]}

***

# 7
• The materials data stop here:
At CFH we have been managing, producing and fulfilling transactional mail requirements for over 47 years with our print and mail solutions. Working across the public, private and third sectors we support organisations to achieve the results they need whilst producing and sending their communications in the best possible way.
Through innovative technology and processes, we can process thousands of your documents within minutes.
To find out how we can support your transactional mail requirements please get in touch, and we’d be happy to talk you through the solutions we have to support your printed communications.